Facebook and the word “Lesbian”

== Between two parts of the piece: calculated crystals ==
____________
Record 1
Density functional theory data (PBE) for crystalline Ba3Tl9Ag2 at its relaxed geometry.

The structure in POSCAR format:
```
Ba3Tl9Ag2
1.0
-2.582 5.832 7.366
2.582 -5.832 7.366
2.582 5.832 -7.366
Ba Tl Ag
3 9 2
Direct
0.000 0.000 0.000
0.312 0.312 0.000
0.688 0.688 0.000
0.026 0.660 0.366
0.147 0.867 0.280
0.294 0.660 0.634
0.413 0.133 0.280
0.500 0.000 0.500
0.587 0.867 0.720
0.706 0.340 0.366
0.853 0.133 0.720
0.974 0.340 0.634
0.295 0.500 0.795
0.705 0.500 0.205
```

density = 9.24 Mg/m³
total energy = -2.56 eV/atom
symmetry = Immm (71)
DFT formation energy = -223 meV per atom

Record 2
Density functional theory data (PBE) for crystalline SrSb2CN at its relaxed geometry.

The structure in POSCAR format:
```
SrSb2CN
1.0
4.633 0.000 0.000
0.000 4.633 0.000
0.000 0.000 4.821
Sr Sb C N
1 2 1 1
Direct
0.000 0.000 0.000
0.000 0.500 0.500
0.500 0.000 0.500
0.500 0.500 0.000
0.500 0.500 0.500
```

uncorrected formation energy = 1248 meV per atom
density = 5.73 Mg/m³
total energy = -4.25 eV/atom
symmetry = P4/mmm (123)

Record 3
Density functional theory data (PBE) for crystalline LaTmZn2Pd5 at its relaxed geometry.

The structure in POSCAR format:
```
LaTmZn2Pd5
1.0
4.206 0.000 0.000
0.000 4.206 0.000
0.000 0.000 9.410
La Tm Zn Pd
1 1 2 5
Direct
0.000 0.000 0.000
0.000 0.000 0.500
0.500 0.500 0.374
0.500 0.500 0.626
0.000 0.500 0.231
0.000 0.500 0.769
0.500 0.000 0.231
0.500 0.000 0.769
0.500 0.500 0.000
```

density = 9.68 Mg/m³
total energy = -4.87 eV/atom
symmetry = P4/mmm (123)
DFT formation energy = -655 meV per atom

Record 4
Density functional theory data (PBE) for crystalline TiBeRu at its relaxed geometry.

The structure in POSCAR format:
```
TiBeRu
1.0
3.085 0.000 0.000
0.000 3.085 0.000
0.000 0.000 8.150
Ti Be Ru
2 2 2
Direct
0.000 0.000 0.000
0.500 0.500 0.500
0.000 0.000 0.679
0.500 0.500 0.179
0.000 0.000 0.322
0.500 0.500 0.822
```

density = 6.76 Mg/m³
total energy = -7.42 eV/atom
symmetry = I4mm (107)
DFT formation energy = -452 meV per atom
____________
== Back to the piece ==

OK, so this is just annoying.  Facebook added two categories to “relationship status”  – civil unions and domestic partnerships.  Woo hoo.  A nice win and accurate, too. So fast forward many months to this past weekend.  I realized I had claimed a name for my blog’s “fan” page (claiming makes it easier to direct people). […]

Big News About #BlogMob At Greater Pittsburgh Community Food Bank

But I can’t tell you yet!  Just Save the Date for Thurs Sept 8 from 6-7:30 PM at the Food Bank in Duquesne. It promises to be eye-opening, humbling and educational as well as fun, bonding and with great food.  Policy, hunger, nutrition, and related topics.  September is Hunger Activist Month. This is your chance […]

Podcamp Pittsburgh is Around the Corner

Very excited to once again be an individual sponsor of this year’s Podcamp Pittsburgh, verion 6.0. In the guide of the Pittsburgh Tote Bag Project, we’ll be part of a panel with The Pittsburgh Foundation’s newest social media initiative.  To find out what it is, you’ll have to attend or read oneline later.  We are […]

Welcome to the new WordPress edition of Pittsburgh Lesbian Correspondents

We’ll we’ve made the leap from Blogware to WordPress and it seems we landed on our feet.    You’ll notice a very sleek look.  As I learn my way around the software, I’ll bring back the blogrolls and fancy features.  The most important thing is to note that Pittsburgh Lesbian Correspondents v1.0 is safely archived. […]

-- Calculated crystals from another source follow --
/*
# 1
VASP calculation (GGA-PBE) on a geometry-optimized LiMgSc2 structure.

Values from the calculation:
Energy relative to the elements (eV per formula unit): 0.65
Crystal system: tetragonal
Magnetic moment (μB/atom): 0.000
Electronic total energy (eV per atom): -3.8806
Fermi-level density of states (states/eV per cell): 10.4

Structure (CIF):
```
data_LiMgSc2
_chemical_formula_sum 'Li2 Mg2 Sc4'
_cell_length_a 4.4959
_cell_length_b 4.4959
_cell_length_c 9.0099
_cell_angle_alpha 90.00
_cell_angle_beta 90.00
_cell_angle_gamma 90.00
_space_group_name_H-M_alt 'I -4 m 2'
_space_group_IT_number 119
_space_group_name_Hall 'I -4 -2'
loop_
_atom_site_label
_atom_site_fract_x
_atom_site_fract_y
_atom_site_fract_z
Li1 0.0000 0.0000 0.0000
Mg1 0.0000 0.5000 0.7500
Sc1 0.0000 0.0000 0.5000
Sc2 0.0000 0.5000 0.2500
```

***

# 2
VASP calculation (GGA-PBE) on a geometry-optimized TaCr2Cd structure.

Values from the calculation:
Energy relative to the elements (eV per formula unit): 4.01
Crystal system: tetragonal
Magnetic moment (μB/atom): 1.257
Electronic total energy (eV per atom): -7.0017
Fermi-level density of states (states/eV per cell): 13.6

Structure (CIF):
```
data_TaCr2Cd
_chemical_formula_sum 'Ta4 Cr8 Cd4'
_cell_length_a 7.0985
_cell_length_b 7.0985
_cell_length_c 5.7429
_cell_angle_alpha 90.00
_cell_angle_beta 90.00
_cell_angle_gamma 90.00
_space_group_name_H-M_alt 'I -4 2 d'
_space_group_IT_number 122
_space_group_name_Hall 'I -4 2bw'
loop_
_atom_site_label
_atom_site_fract_x
_atom_site_fract_y
_atom_site_fract_z
Ta1 0.0000 0.0000 0.0000
Cr1 0.2329 0.2500 0.1250
Cd1 0.0000 0.0000 0.5000
```

***

# 3
VASP calculation (GGA-PBE) on a geometry-optimized LiMgBePt structure.

Values from the calculation:
Energy relative to the elements (eV per formula unit): -1.87
Crystal system: cubic
Magnetic moment (μB/atom): 0.000
Electronic total energy (eV per atom): -3.7865
Fermi-level density of states (states/eV per cell): 4.4

Structure (CIF):
```
data_LiMgBePt
_chemical_formula_sum 'Li4 Mg4 Be4 Pt4'
_cell_length_a 6.0207
_cell_length_b 6.0207
_cell_length_c 6.0207
_cell_angle_alpha 90.00
_cell_angle_beta 90.00
_cell_angle_gamma 90.00
_space_group_name_H-M_alt 'F -4 3 m'
_space_group_IT_number 216
_space_group_name_Hall 'F -4 2 3'
loop_
_atom_site_label
_atom_site_fract_x
_atom_site_fract_y
_atom_site_fract_z
Li1 0.0000 0.0000 0.0000
Mg1 0.2500 0.2500 0.2500
Be1 0.2500 0.2500 0.7500
Pt1 0.0000 0.0000 0.5000
```

***

# 4
VASP calculation (GGA-PBE) on a geometry-optimized LaAlRhO6 structure.

Values from the calculation:
ΔE_f (raw) (eV per atom): -1.9849
Crystal system: trigonal
Magnetic moment (μB/atom): 0.307
Electronic total energy (eV per atom): -7.0705
Fermi-level density of states (states/eV per cell): 3.6

Structure (CIF):
```
data_LaAlRhO6
_chemical_formula_sum 'La1 Al1 Rh1 O6'
_cell_length_a 5.1012
_cell_length_b 5.1012
_cell_length_c 5.2156
_cell_angle_alpha 90.00
_cell_angle_beta 90.00
_cell_angle_gamma 120.00
_space_group_name_H-M_alt 'P 3 1 2'
*/

Ron Cook Has It Wrong: Harrison Did Not Apologize

James Harrison did not apologize for using a gay slur. He didn’t man up and say “It is a hurtful word and I shouldn’t have used it” Instead he blamed it on slang. “I also need to make clear that the comment about Roger Goodell was not intended to be derogatory against gay people in […]

Certification of Don’t Ask, Do’t Tell Repeal

I am not sure I’ll be able to update this afternoon but pay attention to the gay media folks today … it is a big one. Metro Weekly, Wall Street Journal and other news outlets are reporting that the Pentagon is going to certify the plan to repeal DADT TODAY. If the Pentagon certifies the […]

Latest Letters to The Editor in the Post-Gazette

Just so you see a slice of public sentiment … James Bruno of McCandless stirred the pot by pulling back the curtain on the gay agenda to destroy the Catholic Church, force everyone in the nation to approve of anal sex and good taste in furnishings AND kill the fetus.  OMG, he’s on to us […]

Gil Remley to Sue Kerr – Sports Commentary in the Pittsburgh Post Gazette

I hope my paternal great-grandfather, Gil Remley, would be proud that Ledcat and I have an op/ed published in the Pittsburgh Post-Gazette.  Our topic?  Homophobia in Professional Sports and the Need for Teams like the Pirates to send a different message.  (The editor made it sound more lofty). Gil Remley ended his career in journalism […]

James Harrison’s non-apology for “gay slur”

I read this late last night and choked on whatever was in my glass.  This man has zero understanding of LGBT issues.  Zero. He needs to be educated and I hope his management team recognizes that he is saying … well, first read his comments. (Full statement here.) I also need to make clear that the […]